
How bored are the students in the online classes now?

    The students really miss their class. It's not because they can't see their teachers live😅 but miss their friends with whom they tried to make fun in the classes😄. But soon after Covid19 Pandemic, the students are forced to attend online classes😔 to compensate their schooling hours. They are either feeling screwed up😖 if their parents are strict enough to make them attend the online classes or else they will still be in the summer vacation😜. If I'm the school student , I may be died of getting bored in online classes since my parents are strong enough to force me👀.     But the actual reality is the students should understand the things they can do using Internet other than watching Entertainments in YouTube ,Netflix ,Prime,Games etc. What ever their passions are, they are able to get trained virtually  through the internet✌. Usually the graduates and Job seekers are the ones that are interested in building Profiles and Resumes . Why can't a school student get

Why school students chasing for appreciation so much?

    Everyone is born innocent in this world. Things which makes them innocent is what they don't know and hence they try to know them. Make a child try something new, they have to understand that this will enhance their personal value in some means. Appreciation is a skill accrue by acceptance of others value, especially the people who are considered to be under our level of achievements.     Every school student may have a dream of receiving  applause from somewhere in life. But most of the cases they are not receiving it at the right time to survive in there way of action to achieve their goals. The academic system is schools are mostly focused on the academic excellence or other popular talent excellence(like sports & arts). But their are a lot of students who doesn't have an excellence in any of this , but have other talents and hence will be avoided by parents,friends and  society. Especially parents are the culprits in the tragedy of a life of most of the students due

How Twitter screwed up and lost $100,000 bitcoins of it's users?

     People are very excited to receive free money without effort, they even turn to be Gold diggers  up to  some extend.  But here what happens was that the bitcoin investors who was not only have enough knowledge about bitcoin but also invested in it had done foolish things while seeing something attractive like "Too good to be true". Greedy enough to loss their savings for the smarter enough to make fun and money at the same time(Hackers).      What was happened few days back in twitter was, Some hacker know as "Krik" who had how ever got the access to the Twitter Admin(Host) Login panel address and obviously found a backdoor in the control panel and got chance to update Confirmation mail of the Twitter users. Obviously they utilized this opportunity not to attack the Twitter but to fool the Easy money hunters and made some money out of it.     What actually happen was the Twitter account of the high profile users like Bill gates(Microsoft Founder), Jeff Bezoz(Am

If you know this, then you are good enough to raise your kid.

 58/100 marks in Maths in 12th Board Exam and I had become a Programmer before my graduation....      Being a lazy child I always faced bullying and lack of freedom to play during my child hood. I stopped outdoor games in 7th standard only because I wanted to prove to my parents that I was something which I'm not really was and I had believed I was.... Maths was my favourite subject in school which I got the least marks in my final exams. It was not because my teachers are bad or I'm lazy in it. It was only because I was in a tremendous pressure of being bullied by the society which pretended to use education geniuses to predict my values. Yes, it was people like you forcing the students to fail. After getting into  college I realized  reality which is the society doesn't matter to me anymore. All which matter is what I'm doing with what I have. Since my love towards Technology was honest I'm blessed by Almighty to secure merit seat in Engineering with 66% average i

How Technology Inspires The Youth Like Me?

It's all about freedom. From  1857 India Started from  Freedom to live and enjoy the life ✌ . But now it is trending on  financial freedom 💲 . Technology can provide both and can destroy both.  Recognition 😎 is the another factor which makes technology attractive.  Attractive enough to  obsessive . It gives easy game and easy fame. Both are 2 side of a same coin. Playing in media to attract others is the game and the result is either fame😍 or defame😌. More over I love the fact that is makes things easy to become lazy. Lazy is not at all a bad word anymore. I.m bad in essays doesn't mean I'm not good in thoughts,findings and study.

Building a career

It's not about completing a Degree course. It's just about building a profile. Profile doesn't mean a paper containing what we are and what we can do. But it is all about what we love to do and want to do. Basically it can start from any age we want, even from schooling. But most of us realize this fact either on final stage of graduation or after ending up in something we really don't wanted to do. It's mostly because of lack of passion. The passion arise or could identify only if we start exploring the reality. Exploring the reality mean to accept  what we have and what can we do next. Can a person have more than one passion? And the answer is: Yes ,he can and he should, Which is called amateur . Not all passion will workout as he expected.It doesn't mean it will not,it will when the right time comes. Hence he can work on the other passions to keep up the motivation to do work. Keeping the energy to work by self motivating is the good behavior of a good prof

What do you mean by Decipher?

### What comes next are quantum chemistry results, not part of the piece
┌──
1.
Here is 7 unconnected molecules or ions with the total composition C18H52N2O12 in a non-equilibrium geometry from the OMol25 dataset. Energies are from wB97M-V/def2-TZVPD.

* SMILES: COC[C@H](C)N.COC[C@H](C)N.OCCO.OCCO.OCCO.OCCO.OCCO
* total charge: 0
* energy above the lowest of the compared OMol25 structures with the same formula, charge and spin: 44.7 kcal/mol
* gap between HOMO and LUMO: 9.50 eV
* M: 488.62 g/mol

The geometry in XYZ format:
```
84
C18H52N2O12 wB97M-V/def2-TZVPD
C -2.58756 0.87092 3.18380
O -3.87341 1.47046 3.30759
C -3.76694 2.88376 3.27941
C -5.20612 3.44427 3.45148
C -5.98935 3.19004 2.18564
N -5.24420 4.88248 3.68250
H -1.90772 1.26414 3.94568
H -2.17650 1.18620 2.21763
H -2.71256 -0.20531 3.23936
H -3.03705 3.25450 4.00351
H -3.50616 3.20338 2.26147
H -5.67749 2.93380 4.29300
H -6.94151 3.72533 2.15704
H -6.27467 2.13867 2.09443
H -5.52422 3.49096 1.24212
H -4.67447 5.34096 2.96604
H -4.68614 5.14904 4.49711
C 1.11752 1.99739 1.42149
O -0.01813 2.06623 0.55487
C -0.61377 3.36300 0.62472
C -0.19956 4.33035 -0.47721
C 1.26859 4.77765 -0.44767
N -1.04622 5.54589 -0.39846
H 1.20358 0.91726 1.58989
H 0.93657 2.33503 2.44488
H 2.00293 2.40879 0.94141
H -1.68584 3.23713 0.41537
H -0.61388 3.69962 1.66261
H -0.49021 3.96533 -1.46688
H 1.75301 5.10913 0.46890
H 1.38318 5.58620 -1.17737
H 1.89947 3.99643 -0.88576
H -0.66842 6.23004 -1.03638
H -2.00881 5.33638 -0.62866
O -2.17463 -6.72074 -0.24054
C -2.34628 -5.51340 0.51622
C -3.38453 -4.65490 -0.22122
O -4.71658 -5.09800 -0.02500
H -2.57669 -7.46995 0.20495
H -2.69015 -5.72732 1.53114
H -1.35154 -5.06810 0.56592
H -3.19876 -4.87727 -1.27787
H -3.22021 -3.59485 -0.03164
H -4.84688 -5.84236 -0.61609
O 0.28096 -0.60952 -3.84232
C 1.58192 -0.31418 -4.30586
C 2.63564 -1.15411 -3.54759
O 3.05337 -0.55555 -2.31883
H 0.14276 -0.41410 -2.89537
H 1.71092 -0.53786 -5.36103
H 1.78122 0.73240 -4.05816
H 3.49891 -1.43309 -4.15274
H 2.13928 -2.09111 -3.28643
H 2.55689 -0.98084 -1.61627
O 6.41930 2.19370 -2.73608
C 5.49223 1.35148 -2.05365
C 4.41478 2.05776 -1.21963
O 3.24896 2.28295 -2.08157
H 7.21731 2.10966 -2.21620
H 5.02335 0.58792 -2.66708
H 6.07429 0.85771 -1.25690
H 4.72638 3.06849 -0.95723
H 4.09937 1.48520 -0.34844
H 2.72218 1.47711 -1.98157
O 1.43097 -2.75562 -0.54049
C 0.81700 -1.85864 0.37919
C -0.37409 -1.13661 -0.25629
O -0.08355 -0.05536 -1.11790
H 1.01903 -3.63116 -0.43099
H 0.42591 -2.36287 1.26677
H 1.55897 -1.13815 0.72290
H -0.91185 -0.69353 0.60212
H -1.15194 -1.75834 -0.70405
H 0.02532 0.76612 -0.59280
O 1.34385 -5.48321 0.22112
C 2.50331 -5.97574 -0.50036
C 3.75269 -5.20498 -0.09683
O 3.84007 -3.95637 -0.75856
H 0.94827 -6.20173 0.72014
H 2.61016 -7.06065 -0.45328
H 2.24085 -5.78086 -1.54457
H 4.58873 -5.85906 -0.35170
H 3.72463 -4.97605 0.97426
H 2.94396 -3.54974 -0.65515
```

=====

2.
Here is a molecular structure, C48H61N4O3S2Tc in a non-equilibrium geometry from the OMol25 dataset. Energies are from wB97M-V/def2-TZVPD.

* spin multiplicity: 4
* total charge: +1
└──
### Here the piece continues

Cipher Text:  It is a text created by changing a plain text(Human understandable text) using various rules or protocols or algorithms and form a non-understandable format. Eg: Rule : ABCD....Z may replaced with 1234.... 26. Then Plain Text : G o o g l e Become Cihper Text:  7 14 14 19  5. Simply looking into a series of number 71414195 we cannot predict it represent Google. We have to play according to the rule to crack it. Decipher It is a process of converting my Cipher Text to plain text(Human understandable text). Read more   When you ask, why I'm using this term in my Blog Name? Ans: Being a lazy person I love to make everything simple and to do it in my way. It may not work every time, but most of the time it may.